Disturbing the peace


Classifieds Moderator
Staff member
Mar 26, 2006
^Well said Abe. I usually crawl through the neighborhood I live in in 1st or second gear, never above 20mph since kids these days seem to have pudding for brains... That said, my mom commented that when I left my house it sounded like I was hauling ass, when I was only doing ~20. Car sounds a whole lot different when you're going somewhere with a purpose. ;)


May 25, 2007
honestabe;1729120 said:
...I've learned my lesson, selectively choose where you live and never live in a HOA neighborhood...

^^^ Obviously, not EVERYONE can do this, but you hit the nail on the head! GOOD NEIGHBORS are VERY hard to find... and BAD NEIGHBORS can be IMPOSSIBLE to avoid or otherwise "mitigate" once you "have" them...

I lived in Japan for over 15 years of my life as a child. Nearly 9 of those years in Tokyo and vicinity. There IS NO WORD for "PRIVACY" in Japanese... so I've DONE the inner-city thing... including our FIRST home (my parent's, anyway) back in the states which was in an inner-city location with houses stacked on top of each other. VERY difficult to "avoid" the effects of neighbors and live your OWN life the way you want without either infringing on others or having them encroach upon your own! (Of course the Japanese being as "passive" as they are... would NEVER openly "complain" about something anyway... but that's beside the point...)

That having been said... I now live several miles in the country and have several acres. My home AND shed are set well off the road. My nearest neighbor was an elderly couple with a dozen acres and I probably couldn't hit their home with a baseball if I threw it... and they were mostly DEAF at their old, retired age. Although they JUST sold their beautiful property... and it's a "crap-shoot" who will move in... I WAS HERE FIRST and that gives me an "upper hand", and heck, I don't reckon I'll have to worry about it anyway, as things are pretty mellow around my part of the countryside. I have numerous motorcycles, and among them is a near exotic 500cc two stroke racer replica with full motor and chamber exhaust and an ex-AMA race bike with RUDE and RAW exhaust and a mega-built big-block GSXR that will rattle your gonads when I blip the throttle... but I have NEVER in over a dozen years here had ONE SINGLE issue with neighbors or the general neighborhood! WOOT!:biglaugh:

...anyway... what I REALLY want to say is... DON'T SH!T IN YOUR OWN BACK YARD people! EVEN though my location is ideal and private and secluded... I STILL exercise a tremendous amount of RESTRAINT anytime I am either COMING HOME on a bike or in a car or the truck (duals on V8!;)) AND anytime I am LEAVING... I always make a point to be several miles out before I "crack" the throttle open and let-er-rip. Not only is this WISE from a "courtesy" standpoint... it's also LOGICAL from a motor warm-up or cool-down perspective as a much better way to treat your vehicles.

I must say, though... that SOME of you all live in regions or neighborhoods or otherwise LAME-O locales that you should have SO MUCH trouble over this... ESPECIALLY when we are talking about POLICE coming into the picture!!! DOH!!! What a bunch of BUNK!:1zhelp:

G/L to the REST of you! (...and like I said... if nothing else, DON'T SH!T IN YOUR OWN YARD!!!:nono:)



Classifieds Moderator
Staff member
Mar 26, 2006
Crisp, sounds like you have some experience with shitting in your own yard... are you suggesting it would be better to shit in our neighbor's yards instead?


May 25, 2007
te72;1729950 said:
Crisp, sounds like you have some experience with shitting in your own yard... are you suggesting it would be better to shit in our neighbor's yards instead?

Just like a good terrier... keep it in the NEIGHBOR'S YARD! YES! (Doesn't mess up your OWN shoes and prevents the "dead-spots" in your own lawn...):biglaugh:



New Member
May 29, 2005
I live 11 minutes outside of Tuscaloosa, AL. Roll Tide! My family has a gunshop on our property. A few years back there used to be a trailer park next to our property. My had brother just got a new 25 round magazine for his ruger 10/22 and was ripping up some shit with that. Some old lady called the police reporting a gang shootout! So, some Tuscaloosa Police officer shows up, outside of his jurisdiction and decides he needs to come inside our house. That was the first/last time we ever had any trouble with noise reports around here.

Some time later the trailer park disbanded and it seems that someone told the police that we're in the county outside of their jurisdiction. Nowadays we could walk outside with a 25rd drum in a 12ga saiga and unload and not expect anything out of it. Cars are small time noise makers compared to firearms... daytime is the only time for any large amount of either. But sometimes you just have to shoot something after the sun goes down...

I lived in an apartment for a short time last year and it drove me insane how noisy all those people can be, lol...


May 25, 2007
Supra60-1;1731916 said:
I live 11 minutes outside of Tuscaloosa, AL. Roll Tide! My family has a gunshop on our property. A few years back there used to be a trailer park next to our property. My had brother just got a new 25 round magazine for his ruger 10/22 and was ripping up some shit with that. Some old lady called the police reporting a gang shootout! So, some Tuscaloosa Police officer shows up, outside of his jurisdiction and decides he needs to come inside our house. That was the first/last time we ever had any trouble with noise reports around here.

Some time later the trailer park disbanded and it seems that someone told the police that we're in the county outside of their jurisdiction. Nowadays we could walk outside with a 25rd drum in a 12ga saiga and unload and not expect anything out of it. Cars are small time noise makers compared to firearms... daytime is the only time for any large amount of either. But sometimes you just have to shoot something after the sun goes down...

I lived in an apartment for a short time last year and it drove me insane how noisy all those people can be, lol...

_Data records from another source follow_
=====
No. 1
First-principles (PBE) data for an optimized crystal structure of LaMg2Tc, as listed in the Alexandria database.

CIF file:
```
data_LaMg2Tc
_symmetry_space_group_name_H-M 'C m m 2'
_symmetry_Int_Tables_number 35
_symmetry_space_group_name_Hall 'C 2 -2'
_cell_length_a 3.519
_cell_length_b 5.174
_cell_length_c 9.921
_cell_angle_alpha 90.00
_cell_angle_beta 90.00
_cell_angle_gamma 90.00
loop_
_atom_site_label
_atom_site_type_symbol
_atom_site_fract_x
_atom_site_fract_y
_atom_site_fract_z
La1 La 0.000 0.000 0.000
Mg1 Mg 0.000 0.000 0.424
Mg2 Mg 0.000 0.500 0.688
Tc1 Tc 0.000 0.500 0.217
```

Summary:
DFT formation energy: 0.254 eV per atom
DOS at the Fermi energy: 8.08 states/eV per cell
Distance to the lowest polymorph of the same formula: 130 meV per atom
Size of the total moment: 0.00 μB per atom
Raw total energy: -34.93 eV for the cell shown

No. 2
First-principles (PBE) data for an optimized crystal structure of LaMg2Tc, as listed in the Alexandria database.

CIF file:
```
data_LaMg2Tc
_symmetry_space_group_name_H-M 'F m -3 m'
_symmetry_Int_Tables_number 225
_symmetry_space_group_name_Hall '-F 4 2 3'
_cell_length_a 7.027
_cell_length_b 7.027
_cell_length_c 7.027
_cell_angle_alpha 90.00
_cell_angle_beta 90.00
_cell_angle_gamma 90.00
loop_
_atom_site_label
_atom_site_type_symbol
_atom_site_fract_x
_atom_site_fract_y
_atom_site_fract_z
La1 La 0.000 0.000 0.000
Mg1 Mg 0.250 0.250 0.250
Tc1 Tc 0.000 0.000 0.500
```

Summary:
DFT formation energy: 0.320 eV per atom
DOS at the Fermi energy: 11.15 states/eV per cell
Distance to the lowest polymorph of the same formula: 195 meV per atom
Size of the total moment: 0.00 μB per atom
Raw total energy: -68.81 eV for the cell shown

No. 3
First-principles (PBE) data for an optimized crystal structure of LaMg2Tc, as listed in the Alexandria database.

CIF file:
```
data_LaMg2Tc
_symmetry_space_group_name_H-M 'F -4 3 m'
_symmetry_Int_Tables_number 216
_symmetry_space_group_name_Hall 'F -4 2 3'
_cell_length_a 7.046
_cell_length_b 7.046
_cell_length_c 7.046
_cell_angle_alpha 90.00
_cell_angle_beta 90.00
_cell_angle_gamma 90.00
loop_
_atom_site_label
_atom_site_type_symbol
_atom_site_fract_x
_atom_site_fract_y
_atom_site_fract_z
La1 La 0.000 0.000 0.000
Mg1 Mg 0.000 0.000 0.500
Mg2 Mg 0.250 0.250 0.250
Tc1 Tc 0.250 0.250 0.750
```

Summary:
DFT formation energy: 0.261 eV per atom
DOS at the Fermi energy: 11.25 states/eV per cell
Distance to the lowest polymorph of the same formula: 136 meV per atom
Size of the total moment: 0.00 μB per atom
Raw total energy: -69.75 eV for the cell shown

No. 4
First-principles (PBE) data for an optimized crystal structure of La8MgTc2, as listed in the Alexandria database.

CIF file:
```
data_La8MgTc2
_symmetry_space_group_name_H-M 'C 1 2/m 1'
_symmetry_Int_Tables_number 12
_symmetry_space_group_name_Hall '-C 2y'
_cell_length_a 15.098
_cell_length_b 8.977
_cell_length_c 5.506
_cell_angle_alpha 90.00
_cell_angle_beta 100.57
_cell_angle_gamma 90.00
loop_
_atom_site_label
=====

:rofl: "...but sometimes you just have to shoot something after the sun goes down..."



New Member
Oct 21, 2010
powell river bc
roadboy;1729086 said:
yes, there are some acceptions to people who always called the cops for any noise, robberys drug dealing ect.
but last week when my tree got stolen, no one knew, YES my tree got stolen, (well not tree, japanese bloodgood maple)
people these days...

a tree?..... sorry but i had to lol on that. i guess its true people will steal anything.....


May 25, 2007
bioskyline;1732052 said:
a tree?..... sorry but i had to lol on that. i guess its true people will steal anything.....

My wife and I had a LARGE LEAFED PLANT (I don't know what they were called... but HUGE leaves, so we "named" the plant PTERODACTYL...) and some bone-heads STOLE it right off our porch!

We had begun "raising" it from before we were married when we first met and named it for some five years or so, and it was a "regular fixture" in our lives. Really pissed me off. I even put a SIGN in our yard offering a "no questions asked" reward WITH a Polaroid picture of the plant! No comers for $100...

Damn thieves!



May 7, 2005
Surrey BC
My dad does burnouts in his driveway. None of the neighbors ever cared, unless they wanted a bigger one. Growing up I had great neighbors, and in all the places Ive lived in no one has ever given me a hard time about anything


Supra Owner
Jan 22, 2008
Toronto, Ontario
lol, yes i laughed hard, but at the same time, im wondering, are people that desperate to steal something like this...we guessed it was someone in our neighbourhood, cause it was HEAVY....only so far saw one house that looked like it was ours, couldent start pointing fingers but it was planted 2 days after. and i also think that they called the cops on me for driving around. cause i remember that day they had their family talking on the streets and i was just going by their house and they all looked at me like wtf or its too loud..lol

now we installed cameras for extra measure, my parents wanted to.

Between two parts of the page: records of crystals:
<<<
[1]
A plane-wave DFT calculation with GGA-PBE was carried out for LiLuCoSe3 after structural relaxation.

Output
Its symmetry is Cmcm (63). The value obtained for the total moment is 4.8 μB per cell. The calculation puts the total energy at -60.5 eV/cell.

a = 3.827 Å, b = 6.716 Å, c = 10.473 Å
α = 90.00°, β = 90.00°, γ = 73.45°
Positions (direct):
1 Lu 0.000 0.000 0.000
2 Lu 0.000 0.000 0.500
3 Se 0.357 0.285 0.922
4 Se 0.357 0.285 0.578
5 Se 0.910 0.180 0.250
6 Se 0.090 0.820 0.750
7 Se 0.643 0.715 0.078
8 Se 0.643 0.715 0.422
9 Co 0.479 0.041 0.750
10 Co 0.521 0.959 0.250
11 Li 0.217 0.567 0.250
12 Li 0.783 0.433 0.750

[2]
A plane-wave DFT calculation with GGA-PBE was carried out for AlHg2SbCl4 after structural relaxation.

Output
Its symmetry is Pna2_1 (33). The calculation puts the total energy at -188.1 eV/cell.

a = 17.913 Å, b = 8.911 Å, c = 12.311 Å
α = 90.00°, β = 90.00°, γ = 90.00°
Positions (direct):
1 Hg 0.743 0.706 0.904
2 Hg 0.379 0.083 0.136
3 Hg 0.257 0.294 0.404
4 Hg 0.621 0.917 0.636
5 Hg 0.121 0.583 0.636
6 Hg 0.243 0.794 0.904
7 Hg 0.376 0.584 0.169
8 Hg 0.879 0.417 0.136
9 Hg 0.624 0.416 0.669
10 Hg 0.507 0.256 0.400
11 Hg 0.124 0.084 0.669
12 Hg 0.876 0.916 0.169
13 Hg 0.757 0.206 0.404
14 Hg 0.993 0.756 0.900
15 Hg 0.007 0.244 0.400
16 Hg 0.493 0.744 0.900
17 Sb 0.129 0.317 0.525
18 Sb 0.882 0.182 0.279
19 Sb 0.629 0.183 0.525
20 Sb 0.871 0.683 0.025
21 Sb 0.371 0.817 0.025
22 Sb 0.618 0.682 0.779
23 Sb 0.382 0.318 0.279
24 Sb 0.118 0.818 0.779
25 Al 0.134 0.838 0.291
26 Al 0.634 0.662 0.291
27 Al 0.366 0.338 0.791
28 Al 0.866 0.162 0.791
29 Al 0.378 0.833 0.511
30 Al 0.122 0.333 0.011
31 Al 0.622 0.167 0.011
32 Al 0.878 0.667 0.511
33 Cl 0.073 0.885 0.439
34 Cl 0.427 0.385 0.939
35 Cl 0.435 0.926 0.371
36 Cl 0.272 0.943 0.531
37 Cl 0.065 0.426 0.871
38 Cl 0.705 0.473 0.250
39 Cl 0.799 0.360 0.808
40 Cl 0.446 0.309 0.661
41 Cl 0.554 0.691 0.161
42 Cl 0.573 0.615 0.439
43 Cl 0.556 0.124 0.155
44 Cl 0.444 0.876 0.655
45 Cl 0.795 0.973 0.750
46 Cl 0.201 0.640 0.308
47 Cl 0.944 0.624 0.655
48 Cl 0.935 0.574 0.371
49 Cl 0.927 0.115 0.939
50 Cl 0.728 0.057 0.031
51 Cl 0.054 0.809 0.161
52 Cl 0.635 0.403 0.984
53 Cl 0.228 0.443 0.031
54 Cl 0.295 0.527 0.750
55 Cl 0.205 0.027 0.250
56 Cl 0.299 0.140 0.808
57 Cl 0.772 0.557 0.531
58 Cl 0.701 0.860 0.308
59 Cl 0.946 0.191 0.661
60 Cl 0.135 0.097 0.984
61 Cl 0.865 0.903 0.484
62 Cl 0.365 0.597 0.484
63 Cl 0.565 0.074 0.871
64 Cl 0.056 0.376 0.155

[3]
A plane-wave DFT calculation with GGA-PBE was carried out for NaLaHgSe3 after structural relaxation.

Output
Its symmetry is Pnma (62). As for the excess energy over the best structure of this formula in the dataset: 30 meV/atom. The value obtained for the total moment is 0.0 μB per cell. The calculation puts the total energy at -95.4 eV/cell.

a = 8.546 Å, b = 4.332 Å, c = 17.592 Å
α = 90.00°, β = 90.00°, γ = 90.00°
Positions (direct):
1 Se 0.512 0.750 0.576
2 Se 0.122 0.250 0.567
3 Se 0.988 0.250 0.076
4 Se 0.720 0.750 0.212
>>>
So much for the records of crystals:


Classifieds Moderator
Staff member
Mar 26, 2006
Jayhall;1732059 said:
My dad does burnouts in his driveway. None of the neighbors ever cared, unless they wanted a bigger one. Growing up I had great neighbors, and in all the places Ive lived in no one has ever given me a hard time about anything
I suspect I may end up doing that one of these days, just for shits and giggles...

roadboy;1732092 said:
now we installed cameras for extra measure, my parents wanted to.

My neighbors are rather getting on my nerves with their baseball and golf in my yard (no fence, twin homes, the yards kinda blend...), so I have every intention of putting up a couple subtle cameras, one to watch the yard/entry, the other to watch the driveway... Getting sick of them jumping the fence after they throw their ball over so a "no trespassing" sign and some trip wire is in order I think...


New Member
May 20, 2010
There's a psycho bitch that lives in my neighborhood. She yelled at my friend's Supra (who lives down the street and is a member on here) for his car being too loud and his sister's car being too loud and all sorts of stuff. They got fed up with her after however many times and told her to keep her ass in her own kitchen before they get a restraining order. Since I got my turbo car, I try to see if she would yell at me for mine being loud. No dice so far. I'm ready to yell at a bitch.

The HOA tried to tell everyone last year that if people set off fireworks they would call the cops. Fireworks are illegal in Ohio, so you know. Come the Fourth, guess which houses were setting off fireworks? HOA fucks. Other than that, my neighborhood is really quiet. I drive slow for kids but it seems literally everyone else just blows down my street. A fruit cake with a fart cannoned Del Sol drives like a fuck head. He's a typical teenage doucher.


Classifieds Moderator
Staff member
Mar 26, 2006
roadboy;1732173 said:
what you mean one of these days? dont you always do burnouts? =D
Trying to keep a more or less low profile among the neighbors... don't really NEED a reason to be on anyone's radar, I'm literally the only one in the neighborhood that I've seen with sports cars.

Greek;1732193 said:
There's a psycho bitch that lives in my neighborhood. She yelled at my friend's Supra (who lives down the street and is a member on here) for his car being too loud and his sister's car being too loud and all sorts of stuff. They got fed up with her after however many times and told her to keep her ass in her own kitchen before they get a restraining order. Since I got my turbo car, I try to see if she would yell at me for mine being loud. No dice so far. I'm ready to yell at a bitch.

The HOA tried to tell everyone last year that if people set off fireworks they would call the cops. Fireworks are illegal in Ohio, so you know. Come the Fourth, guess which houses were setting off fireworks? HOA fucks. Other than that, my neighborhood is really quiet. I drive slow for kids but it seems literally everyone else just blows down my street. A fruit cake with a fart cannoned Del Sol drives like a fuck head. He's a typical teenage doucher.

You know, I've been nearly sideswiped on a couple occasions because people are too lazy to look when they're driving, so I subscribe fully to the idea that (borrowing from the motorcycle world) loud pipes save lives (cars in this case). I don't like to cause unnecessary noise, but if it's gonna keep some asshole who shouldn't be on the road aware of my presence on the road, well...

As for the fireworks, I would have called the cops on the HOA people. :)

**Someone pasted crystal structures at this point**
~~~
Model a:
DFT (PBEsol) results for a relaxed ScFeSb2 crystal.

Cell and atoms, written as POSCAR:
```
ScFeSb2
1.0
4.7774 0.0000 0.0000
2.3887 4.1373 0.0000
2.3887 1.3791 3.9007
Sb Sc Fe
2 1 1
Cartesian
7.1661 4.1373 2.9255
2.3887 1.3791 0.9752
0.0000 0.0000 0.0000
4.7774 2.7582 1.9504
```

Calculated values
Calculated density (kg/m3): 7416
Size of the total moment (μB/cell): 1.77



Model b:
DFT (PBEsol) results for a relaxed ScFeSb2 crystal.

Cell and atoms, written as POSCAR:
```
ScFeSb2
1.0
-3.0825 1.7496 -2.5540
-2.1990 -3.7743 0.0684
-1.9539 3.8247 8.7147
Sb Sc Fe
4 2 2
Cartesian
-2.0668 2.7165 6.2235
-4.8252 1.5020 4.9844
-3.4860 -1.7371 1.3492
-4.0928 1.1185 -0.0988
-2.6407 -1.0124 -1.2428
-3.8386 2.2810 2.4590
0.0000 0.0000 0.0000
-3.3968 -0.4810 3.7702
```

Calculated values
Calculated density (kg/m3): 6504
Size of the total moment (μB/cell): 3.24



How do the structures above rank in stability at the extremes? model a comes first and model b comes last.

=====

1.
DFT (PBE) results for an optimized crystal structure of MnAsRu2C.

The structure in POSCAR format:
```
MnAsRu2C
1.0
4.508 0.000 0.000
0.000 4.508 0.000
0.000 0.000 4.359
Mn As Ru C
1 1 2 1
Direct
0.000 0.000 0.000 Mn
0.000 0.000 0.500 As
0.000 0.500 0.500 Ru
0.500 0.000 0.500 Ru
0.500 0.500 0.000 C
```

Results
Volume   88.6 Å³ per cell
ΔH_f (0 K)   2.3431 eV per atom
Calculated total energy   -5.9758 eV/atom

***

2.
DFT (PBE) results for an optimized crystal structure of Ta2MnAsC.

The structure in POSCAR format:
```
Ta2MnAsC
1.0
4.771 0.000 0.000
0.000 4.771 0.000
0.000 0.000 4.262
Ta Mn As C
2 1 1 1
Direct
0.000 0.500 0.000 Ta
0.500 0.000 0.000 Ta
0.000 0.000 0.500 Mn
0.000 0.000 0.000 As
0.500 0.500 0.500 C
```

Results
Volume   97.0 Å³ per cell
ΔH_f (0 K)   2.1017 eV per atom
Calculated total energy   -7.2479 eV/atom

***

3.
DFT (PBE) results for an optimized crystal structure of UMn2AsC.

The structure in POSCAR format:
```
UMn2AsC
1.0
1.850 -5.426 0.000
1.850 5.426 0.000
0.000 0.000 6.908
U Mn As C
2 4 2 2
Direct
0.049 0.951 0.750 U
0.951 0.049 0.250 U
0.336 0.664 0.555 Mn
0.336 0.664 0.945 Mn
0.664 0.336 0.055 Mn
0.664 0.336 0.445 Mn
0.230 0.770 0.250 As
0.770 0.230 0.750 As
0.500 0.500 0.000 C
0.500 0.500 0.500 C
```

Results
Volume   138.7 Å³ per cell
ΔH_f (0 K)   -0.3260 eV per atom
Calculated total energy   -9.0262 eV/atom

***
~~~
**So much for the crystal structures**


Supra Owner
Jan 22, 2008
Toronto, Ontario
huh...so apparently some people think its funny, someone put rocks in front of my driveway, just 2 but they were a size of a mug, or around that size, and the other day someone but a brick frame (size of a picture frame or 22" monitor) leaning on the government tree but that was on the enxt door neighbours house.
what would you guys do?


Classifieds Moderator
Staff member
Mar 26, 2006
What is a government tree? As for stuff being in your driveway, I always recommend that you look before backing out. Never know when some stupid kid left his bike there. Granted, they'll learn, but you never know when something with more malicious intent is behind you either. ;)


Supra Owner
Jan 22, 2008
Toronto, Ontario
lol gov tree is a tree that the gov or builder always puts infront of your lawn, every house has one. we always back in the driveway so its just straight out.
my parents are getting kinda pissed, lol